Skins Cast go to Hogwarts Chapter 8

Emily Fitch

Despite being in an oversized jumper Emily still shivered as she hugged her shoulders tightly. She watched as her breath left her mouth and disappeared into the dungeon room where she sat alone. In the past, she had only been here along with thirty other bustling students during potions class, but now when she was all alone the place was rather ominous. Somewhere in the room she could hear a water drip every few seconds, she scanned the room for the source but in the dim lighting it would be difficult to find and Emily resigned herself to wait.

It was late, criminally late for a first-year to be out of their dorm. She heard footsteps coming toward her dungeon door, she could hear two women in muffled voices speaking just outside the door, she strained to listen.

"I don't understand," she could hear Professor McGonagall, "half the stories from the students don't add up, someone is telling a lie."

"Minerva, if the children are saying they can't remember, perhaps that is best, Hogwarts does not want a scandal... does it?" Another lady chirped, her voice was shrill and unwelcome to Emily's ears.

"But a child was seriously harmed, is it not your duty to investigate furt-"

(Records of crystals, as found in the file)
____________
Entry a
# LiYMg2 (GGA-PBEsol, optimized geometry)
data_LiYMg2
_cell_length_a 7.224
_cell_length_b 7.224
_cell_length_c 7.224
_cell_angle_alpha 90.00
_cell_angle_beta 90.00
_cell_angle_gamma 90.00
_space_group_name_H-M_alt 'F m -3 m'
_space_group_IT_number 225
_space_group_name_Hall '-F 4 2 3'
loop_
_atom_site_label
_atom_site_type_symbol
_atom_site_fract_x
_atom_site_fract_y
_atom_site_fract_z
Li1 Li 0.000 0.000 0.000
Y1 Y 0.000 0.000 0.500
Mg1 Mg 0.250 0.250 0.250
# - total magnetization (Bohr magnetons per cell) = 0.0

Entry b
# LiYMg2 (GGA-PBEsol, optimized geometry)
data_LiYMg2
_cell_length_a 7.154
_cell_length_b 7.154
_cell_length_c 7.154
_cell_angle_alpha 90.00
_cell_angle_beta 90.00
_cell_angle_gamma 90.00
_space_group_name_H-M_alt 'F -4 3 m'
_space_group_IT_number 216
_space_group_name_Hall 'F -4 2 3'
loop_
_atom_site_label
_atom_site_type_symbol
_atom_site_fract_x
_atom_site_fract_y
_atom_site_fract_z
Li1 Li 0.000 0.000 0.000
Y1 Y 0.250 0.250 0.750
Mg1 Mg 0.000 0.000 0.500
Mg2 Mg 0.250 0.250 0.250
# - total magnetization (Bohr magnetons per cell) = 0.0

Entry c
# LiYMg2 (GGA-PBEsol, optimized geometry)
data_LiYMg2
_cell_length_a 4.310
_cell_length_b 4.310
_cell_length_c 21.629
_cell_angle_alpha 90.00
_cell_angle_beta 90.00
_cell_angle_gamma 90.00
_space_group_name_H-M_alt 'I -4 2 d'
_space_group_IT_number 122
_space_group_name_Hall 'I -4 2bw'
loop_
_atom_site_label
_atom_site_type_symbol
_atom_site_fract_x
_atom_site_fract_y
_atom_site_fract_z
Li1 Li 0.000 0.000 0.000
Y1 Y 0.000 0.000 0.500
Mg1 Mg 0.224 0.250 0.125
# - total magnetization (Bohr magnetons per cell) = 0.0

The winner here is entry b, beating the second structure by 4.2 kJ/mol of atoms.

Entry a
# LiMnMo (GGA-PBEsol, optimized geometry)
data_LiMnMo
_cell_length_a 2.902
_cell_length_b 4.233
_cell_length_c 13.430
_cell_angle_alpha 90.00
_cell_angle_beta 90.00
_cell_angle_gamma 90.00
_space_group_name_H-M_alt 'F m m 2'
_space_group_IT_number 42
_space_group_name_Hall 'F 2 -2'
loop_
_atom_site_label
_atom_site_type_symbol
_atom_site_fract_x
_atom_site_fract_y
_atom_site_fract_z
Li1 Li 0.000 0.000 0.000
Mn1 Mn 0.000 0.000 0.335
Mo1 Mo 0.000 0.000 0.684
# - total magnetization (Bohr magnetons per cell) = 5.6

Entry b
# LiMnMo (GGA-PBEsol, optimized geometry)
data_LiMnMo
_cell_length_a 5.620
_cell_length_b 5.620
_cell_length_c 5.620
_cell_angle_alpha 90.00
_cell_angle_beta 90.00
_cell_angle_gamma 90.00
_space_group_name_H-M_alt 'F -4 3 m'
_space_group_IT_number 216
_space_group_name_Hall 'F -4 2 3'
loop_
_atom_site_label
_atom_site_type_symbol
_atom_site_fract_x
_atom_site_fract_y
_atom_site_fract_z
Li1 Li 0.000 0.000 0.000
Mn1 Mn 0.000 0.000 0.500
Mo1 Mo 0.250 0.250 0.250
# - total magnetization (Bohr magnetons per cell) = 1.7

The winner here is entry a, beating the second structure by 74.5 kJ/mol of atoms.

Entry a
# Li2MnNi (GGA-PBEsol, optimized geometry)
data_Li2MnNi
_cell_length_a 5.822
_cell_length_b 5.822
_cell_length_c 5.822
_cell_angle_alpha 90.00
____________

"-Come now it's late," The lady interrupted McGonagall. "We still have more statements to take, the Fitch twin is next."

The dungeon door swung open and Emily straightened to attention.

Professor McGonagall entered the room with a lady who had a proud catlike face. They took their seats opposite Emily, Mcgonagall regarded her with a somber look, while the other lady looked at Emily like she was an adorable kitten.

McGonagall made one swift motion her wand and the candle lights brightened, casting dark shadows over the ladies' faces as the flame flickered, nonetheless Emily was appreciative of the small warmth it brought.

"Emily," Mcgonagall started and her quill began scribbling away on a piece of parchment, "I have warned you in the past, that one more step out of line, and you will be expelled from this school. So I need you to answer our questions with utmost honesty... is this clear Miss Fitch?"

Emily opened her mouth to speak, she wanted to say yes but only the faintest murmur came out.

The catlike lady made an amused noise and observed Emily, "Now sweet thing there is nothing to be afraid of, all you must do is not tell lies." She smiled with what seemed like all the affection in the world, Emily had to fight to keep herself from shuddering.

"This is Ms. Umbridge," Mcgonagall cut in curtly, "She is a representative for the Ministry of magic's juvenile social services department and has been called to overseer the situation here. I hope you understand the severity of this."

"Now let's begin at the start of this night, how did you end up in the forbidden forest?" Umbridge asked, leaning across the table, her eyes scanning Emily's face; she looked at her encouragingly, it was as if she thought Emily only understood little English.

Moments ago all Emily could think of was the cold, but now all she could feel was the heat from Umbridge's eyes on her. You look like you're radiating heat, That was something Naomi would have said if she could see her now.

"I-I was never in the forest," Emily stammered.

Professor Umbridge giggled as if she was witnessing a baby say their first word, "But my dear if you were not registered in the Autumnal ball and not in the forest..." she gave a little giggle and Emily thought for a moment she would reach out to stroke her, "then where were you?"

Earlier that night

In the Girls dormitory Emily brushed her hair and observed herself in the mirror, she wore a black dress and her red hair was in a half pony. She played with a few different styles for the front of her hair, but in the end, she opted for her signature fringe which engulfed the majority of her forehead. She was neither pleased nor displeased with her appearance, Safe, she thought.

Emily smiled as she saw Pandora behind her, looking at another mirror and twirling around in her dress. Her dress was made of a heavy woolen type material that dragged lazily on the floor, the dress was not the prettiest in Emily's opinion, but Pandora liked it and above all Pandora wanted to please herself, regardless of what anyone else thought. It was something Emily liked and envied about Pandora, as Emily never felt she did anything for herself, not with a quick calculation of what everyone would think of it.

"Madame Hooch said I shouldn't get ahead of myself," Pandora said as she made poses in front of the mirror, her hair was styled in two little pigtails, "But I have to say, I think I'm catching on pretty quick in this quidditch thing. I know it was only the first practice of the season and we've not had a match, but I'm ready."

Emily smiled, "First years aren't even allowed on the team and they picked you, so you must be good."

"Yeah, I thought me and Cook would step in right ogre shit when we gatecrashed the tryouts, we hid in the stands with our brooms and just flew out when they whistled for the next batch, they didn't see us and we kept going with the quidditch dodgeball." Pandora whirled around from the Mirror to Emily and began gesticulating enthusiastically, "Bloody hell Ems, them bludgers were batting for blood! I just started flying as fast as I could, people were getting splattered left right and center, I didn't even see Cook go down... to think of it I didn't even see Cook go up to begin with I just saw him crumbled up with a broken broom...por sod, any way next thing I knew the whistle was blown and the bludgers stopped, and I was still on my broom with a handful of others; after that I had to come clean and say I was a first-year, but I got special permission from Hooch to play. I'm only as a reserve for now but I'm still on the team." Pandora looked around the room, "... Effs are you nearly ready? I think most people have already left for the ball now."

Effys stepped out from behind the dresser.

Emily's mouth fell agape and Effy stood in front of her, her expression was unreadable to the average student, but Emily could see the mischievous glint behind her eyes daring Emily to say something.

"McGonagall's hair bun Effs! you can't wear that to the ball can you?" Pandora exclaimed.

Effy regarded them cooly, a hot sensation flowed through Emily, like a thousand butterflies finally escaping a closed jar.

Effy really was beautiful, she looked far older than a first year.

Her eyes were colored in a thick eyeliner, her neck was decorated with multicolored necklaces, she wore a black leather jacket and very short denim shorts with raunchy looking tights.

Effy scanned Emily's appearance head to toe and Emily could feel herself blushing under her gaze.

"I'm not going to the ball," Effy said and walked over to Emily, she took hairpins from her own hair and placed them gently between her lips for temporary sanctuary as she ran her hands through Emily's hair when she was finished rearranging she slotted the hair clips in.

"There." Effy said and Emily looked into the mirror.

For a moment she did not recognize herself, Effy had styled her fringe neatly away, and her face was visible.

"I can't... I don't like it." Emily heard herself say and her hands were already searching to remove the hairpins.

"Oh, you do look nice like that Ems, but Effs what did you mean you're not going?" Pandora asked.

"Katie always said I had a big forehead." Emily said, her hands had found the hairpins, she was ready to remove them as she caught another glimpse of her reflection… she didn't look terrible she supposed, just different.

"Katie has the same forehead as you, she doesn't hate your forehead she hates herself." Effy said.

Effy turned around to leave, and Emily watched as her long brown hair flicked violently as she turned.

Pandora shot Emily a the fuck? look and gave chase to Effy, Emily forced herself to keep up and her hairstyle momentarily forgotten.

"Effs What do mean you're not going to the party?" Pandora said, trying to keep up with Effy as they descended the spiral staircase that lead to the common room. Emily was just noting how fast Pandora could run in her dress when suddenly Pandora's upper body lurched forward and there was a short moment where Emily had the choice to grab Pandora, but instead she froze. She saw Pandora trip over her wooly dress and tumble down the stairs, knocking Effy clean off her feet. They both landed in a mess in the empty Gryffindor common room.

Unable to find her voice, Emily clutched her mouth as she saw their still bodies on the floor.

Then she saw movement, and Effy climbed out from under Pandora's dress, Effy turned around and tried to turn Pandora over, it was quite difficult with the wool dress, it was the first time Emily saw a look of alarm on Effy's face.

a disheveled Pandora sat up, her eyes wild and dazed until they focused on Effy.

They stared at one another, then a smile spread across Effy's lips and they both erupted into laughter. Emily sighed in relief and realized she was still standing at the top of the stairs, she didn't help when Pandora fell, she didn't help turn Pandora over. Even now she watched as Effy helped Pandora to her feet.

It happened so fast, Pandora was too far ahead of me. Emily prepared a response when they'd inevitably ask, why didn't you stop her? But it wasn't true, Pandora was well within Emily's reach, and she just froze, and watched.

"Merlin's left sack my dress is ripped!" Pandora exclaimed, observing a large tear from the knee down.

She looked at Effy for help, probably automatically ruling Emily as she did not excel at reparative spells, in fact Emily didn't excel at any kind of spells in her classes at Hogwarts.

"Can you fix it?"

"If you want to come to the party with me, you'll need to tear that dress some more." Effy said.

"How much do you reckon I should rip it… this much?" Pandora tugged gently at the hole in her dress.

With one swift movement of Effy's wand the bottom half of Pandora's dress was gone, exposing her legs.

"I guess I can get that fixed before I go back for the holidays and nan goes mental." Pandora said, observing the remains of her wooly dress on the floor. "So where's this secret party then?"
"The forbidden forest," Effy said. The three stood in silence for a few seconds, then Effy turned to leave.

"We can't go there," Emily said.

"So don't go, I'm not making you. No one can make you do anything."

"I'm coming with you." Pandora said, "I'll stick out like a pygmy infection with this dress in I go to the ball anyway."

"I think that would have happened regardless," Effy said and they turned to leave the common room. Effy was about to climb out of the portrait.

"Wait! You can't leave me!" Emily cried, her throat was clenching up, she could feel tears forming in her eyes and she fought to suppress them.

"Ems we're not forcing you to come, you can go to the ball with everyone else." Pandora said.

"But… but everyone is already gone."

"She's afraid," Effy said from the portrait, her eyes fixating on Emily like she was naked. "She doesn't want to go the ball by herself."

"N-no, that's not why you guys aren't allowed to go to-" Emily could feel her voice making those humiliating sounds that betrayed how close to tears she was.

"Emily, you should get used to being alone; we were born alone and we will die alone," Effy said and climbed up the portrait.

"I wasn't born alone." Emily heard herself say and Effy turned back to her. For a moment a calmness swept through Emily and she met Effy's eyes, "I wasn't born alone." She repeated. Effy regarded her then left the common room followed by Pandora. "I wasn't born alone." Emily said again to the empty common room where there was no sound but the crackling of the fireplace.


McGonagall and Umbridge had let Emily go, informing her that they might need to question her again if any new information was found. Emily knew the situation was bad when they left her, a first-year walk back to her dorm by herself at this hour of the early morning.

As Emily walked up the staircase to the Gryffindor common room it changed direction, locking into the third floor, the forbidden floor. Emily paused, she didn't want to go up, but the stairs had its own mind, it could be seconds or hours before it moved again. White light flickered on and off like a light bulb in the darkness of the third floor. Emily stepped backward, the hairs on her arms standing up. Then again the light flicked on and off, this time right at the top of the stairs, a dark hooded figure moved toward her, Emily opened her mouth to scream but nothing came out, in a rush to get down the stairs she tripped and fell, landing in the square of the stairs where it changed directions, Emily scurried to the banister, her hair dangled over the edge as the figure was running toward her. Emily grabbed for her wand and pointed at the figure, what spell should she go for?

Entry from Alexandria: crystalline YCuSi2Se at its relaxed geometry (PBE).

```
data_YCuSi2Se
_cell_length_a 4.271
_cell_length_b 4.271
_cell_length_c 5.943
_cell_angle_alpha 90.00
_cell_angle_beta 90.00
_cell_angle_gamma 90.00
_symmetry_space_group_name_H-M 'P 4/m m m'
_symmetry_Int_Tables_number 123
_symmetry_space_group_name_Hall '-P 4 2'
loop_
_atom_site_label
_atom_site_fract_x
_atom_site_fract_y
_atom_site_fract_z
_atom_site_occupancy
Y1 0.000 0.000 0.000 1
Cu1 0.000 0.000 0.500 1
Si1 0.000 0.500 0.500 1
Se1 0.500 0.500 0.000 1
```

Computed properties:
- energy (eV/atom) = -5.0919
- DOS at the Fermi energy (states/eV/f.u.) = 3.02
- uncorrected formation energy (meV/atom) = -114

=====

Entry from Alexandria: crystalline SbTeIr2 at its relaxed geometry (PBE).

```
data_SbTeIr2
_cell_length_a 3.076
_cell_length_b 3.595
_cell_length_c 7.144
_cell_angle_alpha 90.00
_cell_angle_beta 90.00
_cell_angle_gamma 90.00
_symmetry_space_group_name_H-M 'P m m m'
_symmetry_Int_Tables_number 47
_symmetry_space_group_name_Hall '-P 2 2'
loop_
_atom_site_label
_atom_site_fract_x
_atom_site_fract_y
_atom_site_fract_z
_atom_site_occupancy
Sb1 0.000 0.000 0.000 1
Te1 0.500 0.000 0.500 1
Ir1 0.500 0.500 0.199 1
```

Computed properties:
- energy (eV/atom) = -6.0285
- DOS at the Fermi energy (states/eV/f.u.) = 2.07
- uncorrected formation energy (meV/atom) = 218

=====

Entry from Alexandria: crystalline Pr6Sm2TmMg at its relaxed geometry (PBE).

```
data_Pr6Sm2TmMg
_cell_length_a 9.407
_cell_length_b 14.913
_cell_length_c 9.928
_cell_angle_alpha 90.00
_cell_angle_beta 100.50
_cell_angle_gamma 90.00
_symmetry_space_group_name_H-M 'C 1 2/c 1'
_symmetry_Int_Tables_number 15
_symmetry_space_group_name_Hall '-C 2yc'
loop_
_atom_site_label
_atom_site_fract_x
_atom_site_fract_y
_atom_site_fract_z
_atom_site_occupancy
Pr1 0.063 0.184 0.450 1
Pr2 0.105 0.405 0.613 1
Pr3 0.213 0.214 0.806 1
Sm1 0.242 0.046 0.054 1
Tm1 0.000 0.016 0.750 1
Mg1 0.000 0.405 0.250 1
```

Computed properties:
- energy (eV/atom) = -4.3102
- DOS at the Fermi energy (states/eV/f.u.) = 14.51
- calculated formation energy (eV/atom) = 0.108

=====

Entry from Alexandria: crystalline CaCdBr2 at its relaxed geometry (PBE).

```
data_CaCdBr2
_cell_length_a 3.753
_cell_length_b 3.753
_cell_length_c 8.571
_cell_angle_alpha 90.00
_cell_angle_beta 90.00
_cell_angle_gamma 90.00
_symmetry_space_group_name_H-M 'P 4 m m'
_symmetry_Int_Tables_number 99
_symmetry_space_group_name_Hall 'P 4 -2'
loop_
_atom_site_label
_atom_site_fract_x
_atom_site_fract_y
_atom_site_fract_z
_atom_site_occupancy
Ca1 0.000 0.000 0.000 1
Cd1 0.500 0.500 0.264 1
Br1 0.000 0.000 0.434 1
Br2 0.500 0.500 0.822 1
```

Computed properties:
- energy (eV/atom) = -2.6196
- uncorrected formation energy (meV/atom) = -1054

=====

Number 1: V 108 Å³/cell. Number 2: V 79 Å³/cell. Number 3: V 1369 Å³/cell. Number 4: V 121 Å³/cell.


[1]
An optimized crystal structure of AlAg5, computed with GGA-PBE.

Properties
DFT total energy: -16.48 eV/cell

As the figure closed the distance to stand above her, Emily shielded her face and kicked her legs wildly.

"What the fuck are you doing?"

Emily looked up, it was Naomi. She removed her hood, she shook her head at Emily before helping her up.

"I was trying to signal you with my wand," Naomi whispered.

"I thought you were a fucking pedo." Emily said, her heart still beating hard against her chest.

Naomi burst out laughing, "You had a wand but you opted to kick?"

"I didn't know what spell to use!" Emily shot back.

"You're such a weirdo, Okay, I'm sorry maybe there was a better way of getting your attention. Now come on I'll walk you back to your common room, make sure you don't hurt yourself." Naomi giggled again.

"My common room is this way but the stairs moved." Emily protested.

"Yes I am aware of what common room is yours, there's another way this way… have you never been this way before?"

"No," Emily said, as they proceeded to walk through the third floor, she did not appreciate Naomi's patronizing tone.

As Emily followed Naomi, she noted how expansive Naomi's geographical knowledge of Hogwarts was as she guided her down corridors without a second thought, no first-year knew their way around this well yet.

"You know you're nothing like your sister," Naomi said, looking back to survey Emily.

"I hear that a lot," Emily mumbled, thinking of all the times her parents told her to be more like Katie.

"I think that's my favorite thing about you," Naomi said, giving her an impish grin. "Here we are." Naomi stopped in front of the portrait of the fat lady. "What would you do without me?"

The girls shared a sweet smile but only for a moment, Naomi's smile faded. "You didn't tell them about what we…?"

The memory came back and Emily's smile faded too, she shook her head. "They said they might question me again if something new comes up."

"Okay," Naomi sighed, "I will tell them, I promise, just in my own time okay?"

"I don't know if I can do that... We need to tell someone."

"Please? For me? I'll never ask you of anything ever again, just do this for me?" Naomi pleaded and for a moment she looked far younger, like a scared little girl, it was an expression Emily had never seen before.

"I promise." Emily heard herself.

Relief swept over Naomi's face and for a moment she looked so sweet Emily wanted to hug her, but the moment soon passed. "Goodnight," Naomi said giving her a guarded smile and Emily watched as she disappeared into the darkness of Hogwarts.